Yesterday one of the largest BitTorrent sites on the Internet slowly started to disappear from the Internet.
Without knowledge of the site owners, the nameservers had been wiped from the domain records. While some people were still able to access the site through cached DNS entries, more and more visitors reported issues as time passed.
TorrentFreak got in touch with the site’s owner, who initially thought that there was a DNS problem with the content distribution network. However, when he contacted Leaseweb, who manage the domain name registration, it turned out that the problem was more serious than that.
Leaseweb support informed H33t that the registrar had removed the nameservers after receiving a court order, which appears to be related to a copyright dispute.
“We asked our registrar why we cannot add the nameservers of LeaseWeb to your account. They informed us that they regretfully forced to temporarily disable the domain name due to receipt of a court order as the registrant had not reacted upon a request to remove certain files/entries from his service,” Leaseweb explained.
“They are currently analyzing the Court Order with the intent to have it lifted, but that may take a while. For more information, please contact the registrar who tried to contact you regarding this matter. LeaseWeb can not help you any further with this,” the company added.
Crystal structures that have nothing to do with the page:
____________
Below is MgTl2Re after structural relaxation, with properties calculated at the GGA-PBE level.

Volume = 81.1 Å³ per cell
Energy above the most stable polymorph in this dataset = 13.3 kJ/mol of atoms

abc: 3.6261 3.6261 6.1650
angles: 90.00 90.00 90.00
Space group P4/mmm (No. 123)
Unique sites:
Mg 0.0000 0.0000 0.0000
Tl 0.5000 0.5000 0.2585
Re 0.0000 0.0000 0.5000

Below is LiCrCu2 after structural relaxation, with properties calculated at the GGA-PBE level.

Volume = 146.4 Å³ per cell
Energy above the most stable polymorph in this dataset = 5.2 kJ/mol of atoms

abc: 2.5361 2.5361 26.2824
angles: 90.00 90.00 120.00
Space group R-3m (No. 166, hexagonal axes)
Unique sites:
Li 0.0000 0.0000 0.0000
Cr 0.0000 0.0000 0.5000
Cu 0.0000 0.0000 0.2492

Below is Ce2Tl3Bi3 after structural relaxation, with properties calculated at the GGA-PBE level.

Volume = 235.8 Å³ per cell
DFT total energy = -4.2192 eV per atom

abc: 4.8908 5.0591 9.5286
angles: 90.00 90.00 90.00
Space group Pmmm (No. 47)
Unique sites:
Ce 0.0000 0.0000 0.2435
Tl 0.0000 0.5000 0.5000
Tl 0.5000 0.5000 0.2560
Bi 0.0000 0.5000 0.0000
Bi 0.5000 0.0000 0.0000
Bi 0.5000 0.0000 0.5000

Calculated magnetization in order - 0.00, 0.40, 1.89 μB per formula unit


# 1
This record from the Alexandria database describes crystalline K3NdSb2Se6 at its relaxed geometry. The functional is PBE.

Cell and atoms, written as POSCAR:
```
K3NdSb2Se6
1.0
3.7117 -6.4289 0.0000
3.7117 6.4289 0.0000
-2.4736 0.0000 7.7008
K Nd Sb Se
3 1 2 6
Cartesian
0.0000 0.0000 0.0000 K
3.7117 2.1468 0.0000 K
3.7117 -2.1468 0.0000 K
2.4749 0.0000 3.8504 Nd
2.4749 4.2854 3.8504 Sb
2.4749 -4.2854 3.8504 Sb
1.2144 2.1848 2.2527 Se
-0.0465 0.0000 5.4513 Se
1.2144 -2.1848 2.2527 Se
3.7354 2.1848 5.4481 Se
4.9962 0.0000 2.2495 Se
3.7354 -2.1848 5.4481 Se
```

Symmetry: C2/m (12)
Energy (eV for the cell shown): -49.79

---

# 2
This record from the Alexandria database describes crystalline La3Pm2Er2 at its relaxed geometry. The functional is PBE.

Cell and atoms, written as POSCAR:
```
La3Pm2Er2
1.0
8.9441 -1.7744 0.0000
8.9441 1.7744 0.0000
-4.1657 0.0000 7.6104
La Pm Er
3 2 2
Cartesian
0.0000 0.0000 0.0000 La
2.6005 0.0000 2.2297 La
11.1220 0.0000 5.3807 La
5.3398 0.0000 4.4745 Pm
8.3828 0.0000 3.1358 Pm
-0.8652 0.0000 6.3064 Er
14.5878 0.0000 1.3039 Er
```

Symmetry: C2/m (12)
DOS at the Fermi energy (states/eV/f.u.): 11.1
Energy (eV for the cell shown): -32.62

---

# 3
This record from the Alexandria database describes crystalline SiPbW2 at its relaxed geometry. The functional is PBE.

Cell and atoms, written as POSCAR:
```
SiPbW2
1.0
1.5673 0.9049 8.8092
-1.5673 0.9049 8.8092
0.0000 -1.8098 8.8092
Si Pb W
1 1 2
Cartesian
0.0000 0.0000 0.0000 Si
0.0000 0.0000 20.1729 Pb
0.0000 0.0000 6.9630 W
0.0000 0.0000 13.8325 W
```

ΔE to the lowest computed polymorph (meV/atom): 169
Symmetry: R3m (160)
DOS at the Fermi energy (states/eV/f.u.): 2.0
Energy (eV for the cell shown): -32.97

---

# 4
____________
The owner of H33t is surprised by the mysterious court order and told TorrentFreak that the site has received no correspondence regarding the matter.
“At this point we do not know who is making the complaint, neither do we know who the Leaseweb registrar is because they have not contacted us,” H33t’s Shelby explains.
H33t’s owner was contacted two weeks ago with a request to prove that the WHOIS data is real. H33t complied with this request by providing company documentation and certificates, but hasn’t heard back since.
The torrent site is also surprised that by the accusation that they failed to take allegedly infringing content down.
/*
Entry 1:
BaEuN: optimized geometry, PBE.

Unit cell a=3.8276 b=3.8276 c=7.1538 alpha=90.00 beta=90.00 gamma=120.00
With the nearest neighbours (Å) after each atom.
Fractional positions:
Ba  0.0000  0.0000  0.0000  3 N 2.79
Eu  0.3333  0.6667  0.5950  3 N 2.51
N  0.6667  0.3333  0.7621  3 Eu 2.51, 3 Ba 2.79

Output
The space group is P3m1, No. 156. As for the energy relative to the elements, uncorrected: -536 meV/atom. Its total energy is -7.377 eV per atom. Its density of states at the Fermi level is 2.853 states/eV per atom. The calculated volume comes out at 90.8 Å³ per cell.

Entry 2:
LiScNi3: optimized geometry, PBE.

Unit cell a=4.0174 b=4.0174 c=4.0174 alpha=90.00 beta=90.00 gamma=90.00
With the nearest neighbours (Å) after each atom.
Fractional positions:
Li  0.0000  0.0000  0.0000  6 Ni 2.01
Sc  0.5000  0.5000  0.5000  12 Ni 2.84
Ni  0.0000  0.0000  0.5000  2 Li 2.01
Ni  0.0000  0.5000  0.0000  2 Li 2.01
Ni  0.5000  0.0000  0.0000  2 Li 2.01

Output
Its formation energy from the elements is 0.1341 eV/atom. The space group is Pm-3m, No. 221. Its total energy is -4.984 eV per atom. Its density of states at the Fermi level is 0.269 states/eV per atom. The calculated volume comes out at 64.8 Å³ per cell.

In eV per formula unit, the polymorph energy (0 for the lowest one) values for the records above are, in order, 0.00; 0.00.

=====

(1)
Density functional theory data (PBE) for a relaxed Zr3Zn5 crystal.

DFT formation energy = -23.29 kJ/mol of atoms
Calculated total energy = -4.24 eV/atom

a = 7.6952 Å, b = 7.6952 Å, c = 7.6952 Å
α = 146.16°, β = 146.16°, γ = 48.62°
Closest atoms and distances in Å follow each position.
Fractional coordinates of all 8 atoms:
Zn: 0.9929 0.9929 0.0000  6 Zr 2.78-2.95, 2 Zn 2.78
Zn: 0.4929 0.4929 0.0000  2 Zn 2.78, 6 Zr 2.78-2.95
Zr: 0.6199 0.1199 0.5000  8 Zn 2.86-2.95, 4 Zr 3.17
Zn: 0.7571 0.7571 0.0000  6 Zr 2.78-2.95, 2 Zn 2.78
Zr: 0.8750 0.3750 0.5000  8 Zn 2.78
Zr: 0.1301 0.6301 0.5000  8 Zn 2.86-2.95, 4 Zr 3.17
Zn: 0.3750 0.8750 0.5000  8 Zn 2.78
Zn: 0.2571 0.2571 0.0000  2 Zn 2.78, 6 Zr 2.78-2.95

***

(2)
Density functional theory data (PBE) for a relaxed ZrZn4 crystal.

DFT formation energy = 3.36 kJ/mol of atoms
Calculated total energy = -2.69 eV/atom

a = 11.3148 Å, b = 11.3148 Å, c = 11.3148 Å
α = 15.13°, β = 15.13°, γ = 15.13°
Closest atoms and distances in Å follow each position.
Fractional coordinates of all 5 atoms:
Zn: 0.3031 0.3031 0.3031  12 Zn 2.66-2.98
Zr: 0.5000 0.5000 0.5000  6 Zr 2.98, 6 Zn 3.01
Zn: 0.9070 0.9070 0.9070  9 Zn 2.72-2.98, 3 Zr 3.01
Zn: 0.6969 0.6969 0.6969  12 Zn 2.66-2.98
Zn: 0.0930 0.0930 0.0930  9 Zn 2.72-2.98, 3 Zr 3.01
*/
(Back to the entry)
“H33t has a DMCA style takedown procedure linked on every page. we thought it was enough, apparently not. Today I learned that any site can be taken offline by a complaint without the need to contact the site,” Shelby says.
== Calculated crystals, kept here for reference ==
- - -
# RbGeB3O7 | Alexandria | SCAN | PBEsol geometry
data_RbGeB3O7
_chemical_formula_sum 'Rb4 Ge4 B12 O28'
_space_group_name_H-M_alt 'P n a 21'
_space_group_IT_number 33
_cell_length_a 9.416
_cell_length_b 9.465
_cell_length_c 6.988
_cell_angle_alpha 90.00
_cell_angle_beta 90.00
_cell_angle_gamma 90.00
loop_
_space_group_symop_operation_xyz
'x,y,z'
'-x,-y,z+1/2'
'-x+1/2,y+1/2,z+1/2'
'x+1/2,-y+1/2,z'
loop_
_atom_site_label
_atom_site_type_symbol
_atom_site_fract_x
_atom_site_fract_y
_atom_site_fract_z
_atom_site_occupancy
Rb1 Rb 0.023 0.172 0.000 1
Ge1 Ge 0.241 0.600 0.018 1
B1 B 0.025 0.274 0.552 1
B2 B 0.150 0.424 0.311 1
B3 B 0.176 0.482 0.643 1
O1 O 0.061 0.317 0.355 1
O2 O 0.084 0.379 0.692 1
O3 O 0.085 0.133 0.592 1
O4 O 0.128 0.739 0.077 1
O5 O 0.191 0.437 0.122 1
O6 O 0.204 0.514 0.450 1
O7 O 0.249 0.567 0.769 1
# density of states at the Fermi level: 0.000 states/eV per atom
# total moment: 0.0 μB/f.u.
# E: -0.4126 Ha/atom
- - -
While H33t does indeed have a takedown policy, it has to be noted that they charge copyright holders an administration fee of $50 per takedown request. The site doesn’t comply with the DMCA, claiming that it falls outside US jurisdiction.
Whether the court order will do much to stop H33t from operating is doubtful. The site’s servers are still up and running and the admin is working hard on getting the site back up under a domain,
“ is firing up now and will be fully live within 24 hours as soon as the DNS changes propagate to your locale. The regular h33t tracker is also firing up on the new eu domain announce,” Shelby tells us.

While H33t is expected to make a swift return, the mysterious domain seizure does raise several questions. Is this a criminal matter or a civil case? Under what jurisdiction was the court order obtained?
In the past the U.S. Government has seized hundreds of domains related to copyright infringement and counterfeiting, but if this comes directly from a copyright holder then that’s certainly a game changer.
The positive news is that the unnamed domain registrar intend to fight the court order according to Leaseweb. To be continued.
Update: H33t is back under